• Assignment:
Now print the contents further down character by character.
• Excerpt:
[1]
GGA-PBE Rb2TaFeCl6, optimized geometry; calculated total energy = -44.5 eV/cell; ΔE_f (raw) = -1.113 eV per atom; N(E_F) = 15.98 states/eV/f.u.
1.0
0.000 5.032 5.032
5.032 0.000 5.032
5.032 5.032 0.000
Rb Ta Fe Cl
2 1 1 6
Direct
0.250 0.250 0.250 Rb
0.750 0.750 0.750 Rb
0.000 0.000 0.000 Ta
0.500 0.500 0.500 Fe
0.249 0.249 0.751 Cl
0.249 0.751 0.249 Cl
0.249 0.751 0.751 Cl
0.751 0.249 0.249 Cl
0.751 0.249 0.751 Cl
0.751 0.751 0.249 Cl


[2]
GGA-PBE RbTa2FeCl, optimized geometry; calculated total energy = -18.3 eV/cell; ΔE_f (raw) = 3.339 eV per atom; N(E_F) = 8.56 states/eV/f.u.
1.0
4.909 0.000 0.000
0.000 4.909 0.000
0.000 0.000 5.245
Rb Ta Fe Cl
1 2 1 1
Direct
0.000 0.000 0.000 Rb
0.000 0.500 0.000 Ta
0.500 0.000 0.000 Ta
0.500 0.500 0.500 Fe
0.000 0.000 0.500 Cl


> Which value of ΔE_f (raw) does entry 1 give?

-1.113 eV per atom


> Among the records above, which one has the lowest ΔE_f (raw)?

Rb2TaFeCl6


> Look up the calculated total energy of the first one.

-44.5 eV/cell


> Which of these has the highest calculated total energy?

RbTa2FeCl
• Worked solution:
[1]
GGA-PBE Rb2TaFeCl6, optimized geometry; calculated total energy = -44.5 eV/cell; ΔE_f (raw) = -1.113 eV per atom; N(E_F) = 15.98 states/eV/f.u.
1.0
0.000 5.032 5.032
5.032 0.000 5.032
5.032 5.032 0.000
Rb Ta Fe Cl
2 1 1 6
Direct
0.250 0.250 0.250 Rb
0.750 0.750 0.750 Rb
0.000 0.000 0.000 Ta
0.500 0.500 0.500 Fe
0.249 0.249 0.751 Cl
0.249 0.751 0.249 Cl
0.249 0.751 0.751 Cl
0.751 0.249 0.249 Cl
0.751 0.249 0.751 Cl
0.751 0.751 0.249 Cl


[2]
GGA-PBE RbTa2FeCl, optimized geometry; calculated total energy = -18.3 eV/cell; ΔE_f (raw) = 3.339 eV per atom; N(E_F) = 8.56 states/eV/f.u.
1.0
4.909 0.000 0.000
0.000 4.909 0.000
0.000 0.000 5.245
Rb Ta Fe Cl
1 2 1 1
Direct
0.000 0.000 0.000 Rb
0.000 0.500 0.000 Ta
0.500 0.000 0.000 Ta
0.500 0.500 0.500 Fe
0.000 0.000 0.500 Cl


> Which value of ΔE_f (raw) does entry 1 give?

-1.113 eV per atom


> Among the records above, which one has the lowest ΔE_f (raw)?

Rb2TaFeCl6


> Look up the calculated total energy of the first one.

-44.5 eV/cell


> Which of these has the highest calculated total energy?

RbTa2FeCl